Brief:
Please type out everything underneath word for word.

File:
-- begin --
w.
{
  "formula": "C36H99N9O9",
  "method": "ωB97M-V with the def2-TZVPD basis set",
  "elements": ["C", "O", "C", "C", "C", "N", "H", "H", "H", "H", "H", "H", "H", "H", "H", "H", "H", "C", "O", "C", "C", "C", "N", "H", "H", "H", "H", "H", "H", "H", "H", "H", "H", "H", "C", "O", "C", "C", "C", "N", "H", "H", "H", "H", "H", "H", "H", "H", "H", "H", "H", "C", "O", "C", "C", "C", "N", "H", "H", "H", "H", "H", "H", "H", "H", "H", "H", "H", "C", "O", "C", "C", "C", "N", "H", "H", "H", "H", "H", "H", "H", "H", "H", "H", "H", "C", "O", "C", "C", "C", "N", "H", "H", "H", "H", "H", "H", "H", "H", "H", "H", "H", "C", "O", "C", "C", "C", "N", "H", "H", "H", "H", "H", "H", "H", "H", "H", "H", "H", "C", "O", "C", "C", "C", "N", "H", "H", "H", "H", "H", "H", "H", "H", "H", "H", "H", "C", "O", "C", "C", "C", "N", "H", "H", "H", "H", "H", "H", "H", "H", "H", "H", "H"],
-- stop --

Written answer:
w.
{
  "formula": "C36H99N9O9",
  "method": "ωB97M-V with the def2-TZVPD basis set",
  "elements": ["C", "O", "C", "C", "C", "N", "H", "H", "H", "H", "H", "H", "H", "H", "H", "H", "H", "C", "O", "C", "C", "C", "N", "H", "H", "H", "H", "H", "H", "H", "H", "H", "H", "H", "C", "O", "C", "C", "C", "N", "H", "H", "H", "H", "H", "H", "H", "H", "H", "H", "H", "C", "O", "C", "C", "C", "N", "H", "H", "H", "H", "H", "H", "H", "H", "H", "H", "H", "C", "O", "C", "C", "C", "N", "H", "H", "H", "H", "H", "H", "H", "H", "H", "H", "H", "C", "O", "C", "C", "C", "N", "H", "H", "H", "H", "H", "H", "H", "H", "H", "H", "H", "C", "O", "C", "C", "C", "N", "H", "H", "H", "H", "H", "H", "H", "H", "H", "H", "H", "C", "O", "C", "C", "C", "N", "H", "H", "H", "H", "H", "H", "H", "H", "H", "H", "H", "C", "O", "C", "C", "C", "N", "H", "H", "H", "H", "H", "H", "H", "H", "H", "H", "H"],